Chelsea Fagan
Chelsea Fagan founded the blog The Financial Diet. She is on Twitter.
24 Things We Should Be More Grateful For
The fact that travel is less expensive and more accessible than it has ever been, and you can even find people with whom to cross states and countries sharing only gas money.
Loving Yourself Isn’t Conceited
When you love someone, do you love them based on a small list of acceptable qualities that it is okay to embrace? Of course not, you love them for who they are, and have no shame in making them understand it.
10 Lessons Everyone Learns In Their 20s
If you’re in service, people will harangue you about when you’re planning on getting a “real job,” as though that isn’t somehow the most insulting thing a human being could say to you.
How To Forget Someone
Actively make lists in your mind of all the things you didn’t like about them when you were together. Force yourself to remember the fights, the inherent disagreements, the dragged-out silences which grew more irregularly punctuated with good times.
The Way I Am Around You
I tend to forget the minor work stress that was nagging at the back of my head all morning, following me around my commute or my lunch with a friend, whispering in my ear that I have so much left to do — with you, it is silent.
10 Things Everyone Should Have In Their Apartment
There are only so many bowls covered with flimsy plastic wrap you can fill your refrigerator with before you start to look like a meth head.
27 Ways To Make Someone’s Day Awesome
Send someone flowers who lives far away with a nice card reminding them how much you care. (This has a similar effect to black-tar heroin on mothers/mothers-in-law/grandmothers.)
The Different Types Of Love There Are
There are people whose love pours out in complicated, profound words. They could fill books on the way their partner looks when they just wake up, or how much they love spending time with their best friend.
Watch This Amazing Cover Of “Cups” From ‘Pitch Perfect’
Whether or not you’ve seen Pitch Perfect yet (and you definitely should), you may have seen an imitation or two floating around the internet of Anna Kendrick’s “Cups” scene, performing the song “You’re Gonna Miss Me.”
### Materials data from another source follow
<<<
Record 1
Diffraction record for CdCo7. The XRD peak list is simulated, not measured: it uses a cell relaxed with PBE and copper Kα.
No peak broadening, texture or thermal motion is included.

Top 10 peaks for 2θ = 10–80°, sorted by position:
| h k l | Position (°2θ) | intensity |
| --- | --- | --- |
| 0 0 4 | 10.40 | 34 |
| 0 1 13 | 43.70 | 73 |
| 1 1 0 | 44.20 | 100 |
| 1 1 1 | 44.28 | 39 |
| 0 1 14 | 45.94 | 56 |
| 1 0 13 | 49.70 | 49 |
| 1 0 14 | 51.75 | 31 |
| 0 2 0 | 54.14 | 36 |
| 1 2 13 | 76.53 | 25 |
| 1 2 14 | 78.15 | 17 |

Cell: 2.573 3.390 34.021 Å, 90.00 90.00 90.00°
Space group Pmm2 (No. 25)
Symmetry-distinct sites (fractional):
Cd: 0.000 0.000 0.000 (multiplicity 1)
Cd: 0.500 0.500 0.425 (multiplicity 1)
Co: 0.000 0.000 0.477 (multiplicity 1)
Co: 0.000 0.000 0.548 (multiplicity 1)
Co: 0.000 0.000 0.621 (multiplicity 1)
Co: 0.000 0.000 0.694 (multiplicity 1)
Co: 0.000 0.000 0.768 (multiplicity 1)
Co: 0.000 0.000 0.841 (multiplicity 1)
Co: 0.000 0.000 0.914 (multiplicity 1)
Co: 0.500 0.500 0.511 (multiplicity 1)
Co: 0.500 0.500 0.584 (multiplicity 1)
Co: 0.500 0.500 0.658 (multiplicity 1)
Co: 0.500 0.500 0.731 (multiplicity 1)
Co: 0.500 0.500 0.804 (multiplicity 1)
Co: 0.500 0.500 0.877 (multiplicity 1)
Co: 0.500 0.500 0.949 (multiplicity 1)

***

Record 2
Diffraction record for TbNd2Si4Au4. The XRD peak list is simulated, not measured: it uses a cell relaxed with PBE and copper Kα.
No peak broadening, texture or thermal motion is included.

Top 10 peaks for 2θ = 10–80°, sorted by position:
| h k l | Position (°2θ) | intensity |
| --- | --- | --- |
| 1 0 5 | 27.57 | 14 |
| 1 0 7 | 32.72 | 23 |
| 1 1 4 | 32.99 | 100 |
| 0 2 0 | 42.15 | 20 |
| 2 0 0 | 42.78 | 19 |
| 0 1 11 | 44.95 | 13 |
| 1 2 7 | 54.36 | 11 |
| 2 2 0 | 61.62 | 13 |
| 1 1 16 | 67.22 | 13 |
| 1 3 4 | 71.25 | 11 |

Cell: 4.227 4.287 25.136 Å, 90.00 90.00 90.00°
Space group Immm (No. 71)
Symmetry-distinct sites (fractional):
Tb: 0.000 0.000 0.000 (multiplicity 2)
Nd: 0.000 0.500 0.148 (multiplicity 4)
Si: 0.000 0.000 0.453 (multiplicity 4)
Si: 0.000 0.500 0.309 (multiplicity 4)
Au: 0.000 0.000 0.250 (multiplicity 4)
Au: 0.000 0.500 0.407 (multiplicity 4)

***

Record 3
Diffraction record for Cu2Ag7. The XRD peak list is simulated, not measured: it uses a cell relaxed with PBE and copper Kα.
No peak broadening, texture or thermal motion is included.

Top 10 peaks for 2θ = 10–80°, sorted by position:
| h k l | Position (°2θ) | intensity |
| --- | --- | --- |
| 3 1 0 | 38.32 | 100 |
| 1 1 -3 | 38.50 | 99 |
| 4 0 -3 | 44.35 | 33 |
| 2 0 3 | 44.61 | 31 |
| 0 2 0 | 44.98 | 31 |
| 4 2 -3 | 65.00 | 29 |
| 2 2 3 | 65.21 | 19 |
| 7 1 -3 | 77.50 | 11 |
| 5 1 -6 | 77.85 | 22 |
| 3 3 0 | 78.50 | 11 |

Cell: 9.148 4.031 8.612 Å, 90.00 108.61 90.00°
Space group C2/m (No. 12)
Symmetry-distinct sites (fractional):
Cu: 0.001 0.000 0.340 (multiplicity 4)
Ag: 0.000 0.000 0.000 (multiplicity 2)
Ag: 0.161 0.500 0.882 (multiplicity 4)
Ag: 0.162 0.500 0.553 (multiplicity 4)
>>>
Why Does Everything Have To Involve Drinking?
It’s obvious why we love drinking so much. It enables us to be the person we can’t be while sober, to admit the things and make out with the people we wouldn’t be brave enough to approach otherwise.
5 Most Underrated Kid’s Movies Of All Time
This is one of those rare movies for which I will get legitimately angry at people who say they don’t like it, and will force people to sit down and watch it on the spot if they claim they haven’t.
28 Things That Are Better Than Sex
When you’re exhausted and just want to crash and not deal with anyone and you’ve got a big, fluffy, comfortable bed with fresh sheets and blankets all to yourself.
Why Does Flo Rida Still Exist?
It is music for 12-year-old boys who love Monster energy drink and googling the word “titties” in hopes of finding pictures of nude women’s breasts.
10 Reasons To Travel This Year
You can just leave for a day and go wander around a new city, taking everything in and being at peace with your own thoughts. You can take pictures or sit down in cafes and write about everything you see, and don’t have to be on anyone’s schedule.
Will You Still Love Me On Sunday?
Will you still be interested in all of the things I have to say, all of the coincidences we took as divine intervention last night when we were only so happy to tell each other how we feel?
22 Rules Everyone Should Live By
When you post something to your blog or profile, make sure you credit it from where it came from, or at least make it a click-through. Don’t just steal people’s work willy-nilly.
8 Signs Your Inner Child Is Winning
But then you pass by the candy aisle, and that voice in the back of your head which is like “What are you earning an actual salary for if not to be able to buy yourself giant bags of mini Reese’s cups at random?”
7 Places You Won’t Meet The Love Of Your Life
You should not be wearing a face full of makeup and worrying about what you look like when you’re there. You should not be consulting a doctor about getting your sweat glands snipped so as not to look like a human lawn sprinkler during the spin class with the cute guy two rows down.